A Special “Thank You”
By Lisa K. Lounsbury
When you look at the major wins and critical stops of the New York State Legislature’s 2015 session, it is critical that you know the story behind these successes. The volunteer leaders of IIABNY (the Independent Insurance Agents & Brokers of New York), our local association leaders, and our countless engaged members deserve the thanks of every New York insurance professional for their vital role. Thank you to all of you who attended local legislative events to learn about the issues, met with lawmakers in your districts, sent letters and emails, made phone calls and relentlessly worked to raise legislators’ awareness of our issues. Your strong support was invaluable.
We at IIABNY feel privileged to work collaboratively alongside our devoted volunteer members, who give of their time and talent so generously to serve their industry and their insureds.
• Here the article breaks off for crystal structures:
Simulated powder diffraction line list
Compound: Ac2YCrO6
Radiation: λ = 1.5418 Å (Cu Kα)
Structure: a PBE+U-relaxed structure

Structural model:
Lattice parameters (Å, degrees): 10.1354 5.8555 5.9339 90.00 124.57 90.00
Space group C2/m (No. 12)
Inequivalent atoms, fractional coordinates:
Ac1 0.2469 0.0000 0.2322
Y1 0.0000 0.0000 0.5000
Cr1 0.0000 0.5000 0.0000
O1 0.0551 0.2588 0.8193
O2 0.2367 0.5000 0.3317

The 10 most intense peaks (2θ from 10° to 90°), in order of falling intensity:
d_spacing, Rel. int., (hkl)
2.927, 100.0, 3 1 -1
2.970, 99.3, 1 1 1
4.169, 53.1, 2 0 0
2.085, 51.3, 2 2 -2
1.699, 29.1, 4 2 0
2.396, 25.9, 2 2 0
1.723, 22.5, 2 0 2
1.690, 20.9, 3 3 -1
1.313, 17.8, 5 3 -3
1.463, 15.6, 0 4 0
The highlight of the session was enactment of a law regulating certificates of insurance designed to stop unaccountable third parties from coercing insurance producers into issuing inaccurate certificates. IIABNY has worked with the legislature and the governor for years to get this law enacted. We are pleased to note that it takes effect July 28th.
(Unrelated to this text: crystal structures)
<<<
The following is a computed PXRD pattern of Ac2Y6Ho5. It was derived from a cell relaxed with GGA-PBE, using Cu Kα.
Kinematic intensities with the Lorentz-polarization factor, no thermal factor.

Structure:
```
Ac2Y6Ho5
1.0
11.969 0.000 0.000
0.000 20.361 0.000
0.000 0.000 3.648
Ac Y Ho
4 12 10
direct
0.159 0.221 0.000 Ac
0.341 0.721 0.000 Ac
0.659 0.279 0.000 Ac
0.841 0.779 0.000 Ac
0.058 0.924 0.000 Y
0.078 0.637 0.000 Y
0.181 0.382 0.500 Y
0.319 0.882 0.500 Y
0.422 0.137 0.000 Y
0.442 0.424 0.000 Y
0.558 0.576 0.000 Y
0.578 0.863 0.000 Y
0.681 0.118 0.500 Y
0.819 0.618 0.500 Y
0.922 0.363 0.000 Y
0.942 0.076 0.000 Y
0.000 0.500 0.500 Ho
0.103 0.781 0.500 Ho
0.200 0.051 0.500 Ho
0.300 0.551 0.500 Ho
0.397 0.281 0.500 Ho
0.500 0.000 0.500 Ho
0.603 0.719 0.500 Ho
0.700 0.449 0.500 Ho
0.800 0.949 0.500 Ho
0.897 0.219 0.500 Ho
```

Most intense lines, 15° ≤ 2θ ≤ 90°, most intense first:
Position (°2θ), intensity
31.62, 1000
31.10, 526
30.19, 295
31.39, 190
35.89, 154
33.74, 144
53.10, 142
25.94, 137
50.01, 131
44.04, 117

The following is a computed PXRD pattern of LiIn2Ni. It was derived from a cell relaxed with GGA-PBE, using Cu Kα.
Kinematic intensities with the Lorentz-polarization factor, no thermal factor.

Structure:
```
LiIn2Ni
1.0
3.201 0.000 0.000
0.000 3.422 0.000
0.000 0.000 6.251
Li In Ni
1 2 1
direct
0.000 0.000 0.000 Li
0.500 0.500 0.263 In
0.500 0.500 0.737 In
0.000 0.000 0.500 Ni
```

Most intense lines, 15° ≤ 2θ ≤ 90°, most intense first:
Position (°2θ), intensity
38.51, 1000
39.03, 943
40.33, 858
26.04, 406
27.87, 342
69.13, 327
28.56, 310
71.77, 292
48.64, 281
72.79, 264

The following is a computed PXRD pattern of Ba3LiPt. It was derived from a cell relaxed with GGA-PBE, using Cu Kα.
Kinematic intensities with the Lorentz-polarization factor, no thermal factor.

Structure:
```
Ba3LiPt
1.0
7.567 -4.376 0.000
7.567 4.376 0.000
-4.781 0.000 14.340
Ba Li Pt
12 4 4
direct
0.145 0.146 0.854 Ba
0.146 0.145 0.354 Ba
0.164 0.664 0.914 Ba
0.336 0.836 0.586 Ba
0.354 0.355 0.645 Ba
0.355 0.354 0.145 Ba
0.645 0.646 0.855 Ba
0.646 0.645 0.355 Ba
0.664 0.164 0.414 Ba
0.836 0.336 0.086 Ba
0.854 0.855 0.646 Ba
0.855 0.854 0.146 Ba
0.124 0.623 0.374 Li
0.377 0.876 0.126 Li
0.623 0.124 0.874 Li
0.876 0.377 0.626 Li
0.000 0.500 0.000 Pt
0.250 0.750 0.750 Pt
0.500 0.000 0.500 Pt
0.750 0.250 0.250 Pt
```

Most intense lines, 15° ≤ 2θ ≤ 90°, most intense first:
Position (°2θ), intensity
28.70, 1000
32.28, 838
41.31, 660
32.55, 462
29.11, 362
23.97, 335
43.49, 260
43.52, 233
43.11, 228
48.27, 222

The following is a computed PXRD pattern of Sm2MnSi3Ni12. It was derived from a cell relaxed with GGA-PBE, using Cu Kα.
Kinematic intensities with the Lorentz-polarization factor, no thermal factor.

Structure:
```
Sm2MnSi3Ni12
1.0
3.035 1.752 8.254
-3.035 1.752 8.254
0.000 -3.504 8.254
Sm Mn Si Ni
2 1 3 12
direct
0.151 0.151 0.151 Sm
0.849 0.849 0.849 Sm
0.500 0.500 0.500 Mn
0.000 0.500 0.500 Si
0.500 0.000 0.500 Si
0.500 0.500 0.000 Si
>>>
IIABNY also successfully fought off a bill, supported by trial lawyers’ groups, which would have broadly increased insurance premiums by enabling individuals who believe their insurers have used unfair claims settlement practices to sue the insurers. The New York State Department of Financial Services has the power already to punish insurers who commit these practices. This bill would have encouraged frivolous lawsuits against insurers whenever a claimant felt wronged. It is dead for this session and hopefully for good. How did this get accomplished? In the closing weeks of the session, many IIABNY members “blitzed” their local legislators and convinced them to oppose the bill. As a result, the bill never came up for a vote. No lobbyist, no staff, no TV ads have the same effect of constituent communications on a consumer issue such as this.
On the federal level, the Independent Insurance Agents & Brokers of America (IIABA) and hundreds of members from across the country (including many New York agents and brokers) also scored major wins for the industry. Working with our national office in Washington, IIABA members “lobbied” Congress to realize the extension of TRIA, the Terrorism Risk Insurance Program. They also created a new facility that will make it easier for insurance producers to obtain licenses in multiple states. Both measures were high priorities of the IIABA.
As New York’s original and longestrunning insurance producer trade organization, we continue to be member driven and member centered, capitalizing in the legislature upon the hard work of our volunteer agents and brokers.
For these legislative victories, they deserve our recognition. Cheers to them and all of you!